• To do:
Could you transcribe the whole of the notes further below with every line break kept?

• File:
~~~
# 1
Here is an optimized crystal structure of Cs8Na2Au from the Alexandria database. Energies are from PBE.

POSCAR file:
```
Cs8Na2Au
1.0
12.8412 -3.7311 0.0000
12.8412 3.7311 0.0000
-3.1136 0.0000 9.0629
Cs Na Au
8 2 1
direct
0.0148 0.0148 0.2886
0.2143 0.2143 0.7828
0.3629 0.3629 0.5498
0.4110 0.4110 0.1015
0.5890 0.5890 0.8985
0.6371 0.6371 0.4502
0.7857 0.7857 0.2172
0.9852 0.9852 0.7114
0.1771 0.1771 0.2108
0.8229 0.8229 0.7892
0.5000 0.5000 0.5000
```

formation enthalpy at 0 K = -39 meV/atom
theoretical density = 2498 kg/m³

---

# 2
Here is an optimized crystal structure of Ba4PCl5 from the Alexandria database. Energies are from PBE.

POSCAR file:
```
Ba4PCl5
1.0
9.3333 -2.4008 0.0000
9.3333 2.4008 0.0000
-1.9697 0.0000 7.8962
Ba P Cl
4 1 5
direct
0.0626 0.0626 0.3063
0.3492 0.3492 0.2067
0.6508 0.6508 0.7933
0.9374 0.9374 0.6937
0.5000 0.5000 0.5000
0.1683 0.1683 0.0518
0.1964 0.1964 0.6052
0.5000 0.5000 0.0000
0.8036 0.8036 0.3948
0.8317 0.8317 0.9482
```

formation energy (no corrections) = -2.1491 eV/atom
theoretical density = 3555 kg/m³

---

# 3
Here is an optimized crystal structure of Ho7ZrSc12 from the Alexandria database. Energies are from PBE.

POSCAR file:
```
Ho7ZrSc12
1.0
5.7781 3.3360 4.7806
-5.7781 3.3360 4.7806
0.0000 -6.6720 4.7806
Ho Zr Sc
7 1 12
direct
0.0000 0.0000 0.0000
0.1195 0.4558 0.3420
0.3420 0.1195 0.4558
0.4558 0.3420 0.1195
0.5442 0.6580 0.8805
0.6580 0.8805 0.5442
0.8805 0.5442 0.6580
0.5000 0.5000 0.5000
0.0038 0.8810 0.3569
0.1190 0.6431 0.9962
0.2197 0.7599 0.6363
0.2401 0.3637 0.7803
0.3569 0.0038 0.8810
0.3637 0.7803 0.2401
0.6363 0.2197 0.7599
0.6431 0.9962 0.1190
0.7599 0.6363 0.2197
0.7803 0.2401 0.3637
0.8810 0.3569 0.0038
0.9962 0.1190 0.6431
```

formation enthalpy at 0 K = 242 meV/atom
theoretical density = 5362 kg/m³

---

# 4
Here is an optimized crystal structure of ZrCrPt2 from the Alexandria database. Energies are from PBE.

POSCAR file:
```
ZrCrPt2
1.0
-2.0650 2.0650 3.9218
2.0650 -2.0650 3.9218
2.0650 2.0650 -3.9218
Zr Cr Pt
1 1 2
direct
0.0000 0.0000 0.0000
0.5000 0.5000 0.0000
0.2500 0.7500 0.5000
0.7500 0.2500 0.5000
```

formation enthalpy at 0 K = -624 meV/atom
theoretical density = 13241 kg/m³

---

# 5
Here is an optimized crystal structure of MnNiAu from the Alexandria database. Energies are from PBE.

POSCAR file:
```
MnNiAu
1.0
0.0000 2.9252 2.9252
2.9252 0.0000 2.9252
2.9252 2.9252 0.0000
Mn Ni Au
1 1 1
direct
0.0000 0.0000 0.0000
0.7500 0.7500 0.7500
0.5000 0.5000 0.5000
```

formation enthalpy at 0 K = 233 meV/atom
theoretical density = 10303 kg/m³

---

# 6
Here is an optimized crystal structure of LiTb4Y5 from the Alexandria database. Energies are from PBE.

POSCAR file:
```
LiTb4Y5
1.0
3.5859 0.0000 0.0000
0.0000 3.5859 0.0000
0.0000 0.0000 24.0253
Li Tb Y
1 4 5
direct
0.0000 0.0000 0.0000
0.0000 0.0000 0.1855
0.0000 0.0000 0.3951
0.0000 0.0000 0.6049
0.0000 0.0000 0.8145
0.5000 0.5000 0.0824
0.5000 0.5000 0.2904
0.5000 0.5000 0.5000
0.5000 0.5000 0.7096
0.5000 0.5000 0.9176
```

formation enthalpy at 0 K = 38 meV/atom
theoretical density = 5844 kg/m³

---

# 7
Here is an optimized crystal structure of CsAcErSe3 from the Alexandria database. Energies are from PBE.

POSCAR file:
```
CsAcErSe3
1.0
9.8853 0.0000 0.0000
0.0000 4.7874 0.0000
-3.2805 0.0000 10.5363
Cs Ac Er Se
2 2 2 6
direct
0.2052 0.2500 0.2156
0.7948 0.7500 0.7844
0.3355 0.7500 0.8607
0.6645 0.2500 0.1393
0.0893 0.2500 0.6068
0.9107 0.7500 0.3932
0.1187 0.2500 0.8585
0.1930 0.7500 0.5508
0.4647 0.7500 0.1511
0.5353 0.2500 0.8489
0.8070 0.2500 0.4492
0.8813 0.7500 0.1415
```

formation energy (no corrections) = -1.5926 eV/atom
theoretical density = 5089 kg/m³

---

# 8
Here is an optimized crystal structure of CaSm12Co6 from the Alexandria database. Energies are from PBE.

POSCAR file:
```
CaSm12Co6
1.0
-5.0164 5.0164 5.0164
5.0164 -5.0164 5.0164
5.0164 5.0164 -5.0164
Ca Sm Co
1 12 6
direct
0.0000 0.0000 0.0000
0.1162 0.3128 0.8034
0.1966 0.5094 0.3128
0.1966 0.8838 0.6872
~~~

• Solution:
# 1
Here is an optimized crystal structure of Cs8Na2Au from the Alexandria database. Energies are from PBE.

POSCAR file:
```
Cs8Na2Au
1.0
12.8412 -3.7311 0.0000
12.8412 3.7311 0.0000
-3.1136 0.0000 9.0629
Cs Na Au
8 2 1
direct
0.0148 0.0148 0.2886
0.2143 0.2143 0.7828
0.3629 0.3629 0.5498
0.4110 0.4110 0.1015
0.5890 0.5890 0.8985
0.6371 0.6371 0.4502
0.7857 0.7857 0.2172
0.9852 0.9852 0.7114
0.1771 0.1771 0.2108
0.8229 0.8229 0.7892
0.5000 0.5000 0.5000
```

formation enthalpy at 0 K = -39 meV/atom
theoretical density = 2498 kg/m³

---

# 2
Here is an optimized crystal structure of Ba4PCl5 from the Alexandria database. Energies are from PBE.

POSCAR file:
```
Ba4PCl5
1.0
9.3333 -2.4008 0.0000
9.3333 2.4008 0.0000
-1.9697 0.0000 7.8962
Ba P Cl
4 1 5
direct
0.0626 0.0626 0.3063
0.3492 0.3492 0.2067
0.6508 0.6508 0.7933
0.9374 0.9374 0.6937
0.5000 0.5000 0.5000
0.1683 0.1683 0.0518
0.1964 0.1964 0.6052
0.5000 0.5000 0.0000
0.8036 0.8036 0.3948
0.8317 0.8317 0.9482
```

formation energy (no corrections) = -2.1491 eV/atom
theoretical density = 3555 kg/m³

---

# 3
Here is an optimized crystal structure of Ho7ZrSc12 from the Alexandria database. Energies are from PBE.

POSCAR file:
```
Ho7ZrSc12
1.0
5.7781 3.3360 4.7806
-5.7781 3.3360 4.7806
0.0000 -6.6720 4.7806
Ho Zr Sc
7 1 12
direct
0.0000 0.0000 0.0000
0.1195 0.4558 0.3420
0.3420 0.1195 0.4558
0.4558 0.3420 0.1195
0.5442 0.6580 0.8805
0.6580 0.8805 0.5442
0.8805 0.5442 0.6580
0.5000 0.5000 0.5000
0.0038 0.8810 0.3569
0.1190 0.6431 0.9962
0.2197 0.7599 0.6363
0.2401 0.3637 0.7803
0.3569 0.0038 0.8810
0.3637 0.7803 0.2401
0.6363 0.2197 0.7599
0.6431 0.9962 0.1190
0.7599 0.6363 0.2197
0.7803 0.2401 0.3637
0.8810 0.3569 0.0038
0.9962 0.1190 0.6431
```

formation enthalpy at 0 K = 242 meV/atom
theoretical density = 5362 kg/m³

---

# 4
Here is an optimized crystal structure of ZrCrPt2 from the Alexandria database. Energies are from PBE.

POSCAR file:
```
ZrCrPt2
1.0
-2.0650 2.0650 3.9218
2.0650 -2.0650 3.9218
2.0650 2.0650 -3.9218
Zr Cr Pt
1 1 2
direct
0.0000 0.0000 0.0000
0.5000 0.5000 0.0000
0.2500 0.7500 0.5000
0.7500 0.2500 0.5000
```

formation enthalpy at 0 K = -624 meV/atom
theoretical density = 13241 kg/m³

---

# 5
Here is an optimized crystal structure of MnNiAu from the Alexandria database. Energies are from PBE.

POSCAR file:
```
MnNiAu
1.0
0.0000 2.9252 2.9252
2.9252 0.0000 2.9252
2.9252 2.9252 0.0000
Mn Ni Au
1 1 1
direct
0.0000 0.0000 0.0000
0.7500 0.7500 0.7500
0.5000 0.5000 0.5000
```

formation enthalpy at 0 K = 233 meV/atom
theoretical density = 10303 kg/m³

---

# 6
Here is an optimized crystal structure of LiTb4Y5 from the Alexandria database. Energies are from PBE.

POSCAR file:
```
LiTb4Y5
1.0
3.5859 0.0000 0.0000
0.0000 3.5859 0.0000
0.0000 0.0000 24.0253
Li Tb Y
1 4 5
direct
0.0000 0.0000 0.0000
0.0000 0.0000 0.1855
0.0000 0.0000 0.3951
0.0000 0.0000 0.6049
0.0000 0.0000 0.8145
0.5000 0.5000 0.0824
0.5000 0.5000 0.2904
0.5000 0.5000 0.5000
0.5000 0.5000 0.7096
0.5000 0.5000 0.9176
```

formation enthalpy at 0 K = 38 meV/atom
theoretical density = 5844 kg/m³

---

# 7
Here is an optimized crystal structure of CsAcErSe3 from the Alexandria database. Energies are from PBE.

POSCAR file:
```
CsAcErSe3
1.0
9.8853 0.0000 0.0000
0.0000 4.7874 0.0000
-3.2805 0.0000 10.5363
Cs Ac Er Se
2 2 2 6
direct
0.2052 0.2500 0.2156
0.7948 0.7500 0.7844
0.3355 0.7500 0.8607
0.6645 0.2500 0.1393
0.0893 0.2500 0.6068
0.9107 0.7500 0.3932
0.1187 0.2500 0.8585
0.1930 0.7500 0.5508
0.4647 0.7500 0.1511
0.5353 0.2500 0.8489
0.8070 0.2500 0.4492
0.8813 0.7500 0.1415
```

formation energy (no corrections) = -1.5926 eV/atom
theoretical density = 5089 kg/m³

---

# 8
Here is an optimized crystal structure of CaSm12Co6 from the Alexandria database. Energies are from PBE.

POSCAR file:
```
CaSm12Co6
1.0
-5.0164 5.0164 5.0164
5.0164 -5.0164 5.0164
5.0164 5.0164 -5.0164
Ca Sm Co
1 12 6
direct
0.0000 0.0000 0.0000
0.1162 0.3128 0.8034
0.1966 0.5094 0.3128
0.1966 0.8838 0.6872